-- begin --
1.
Computed, not measured: a cluster of 12 separate species, C40H100N15O14 in total in a non-equilibrium geometry, with ωB97M-V with the def2-TZVPD basis set.

As for the net charge: -1. The calculation puts the calculated total energy at -94112.5318 eV. The highest occupied orbital energy is -3.25 eV.

Each line ends with the Löwdin charge.
Cartesian coordinates (Å):
C -1.0413 -1.5404 -1.8974  -0.11
C -0.0374 -1.8547 -3.0773  -0.71
C 0.8207 -3.1185 -2.8580  -0.12
O -0.7469 -1.9159 -4.2464  -0.39
H -1.8607 -0.8826 -2.1872  0.05
H -0.4192 -1.2783 -1.0416  0.04
H -1.5472 -2.4044 -1.4666  0.04
H 0.6621 -1.0195 -3.0435  0.08
H 0.1802 -3.9687 -2.6238  0.05
H 1.5885 -3.0454 -2.0878  0.04
H 1.3547 -3.2894 -3.7928  0.05
C -4.6948 9.0075 -6.5016  -0.04
C -4.6330 9.2134 -4.9379  -0.53
C -5.7431 8.2696 -4.4421  -0.13
C -5.6451 7.6721 -2.9873  -0.17
C -4.2418 7.1493 -2.7147  -0.14
C -3.1541 8.2779 -3.0503  -0.44
N -3.3698 8.6939 -4.5003  -0.07
O -2.2418 9.5460 -4.8739  -0.03
C -3.1487 9.4516 -2.0149  -0.03
C -1.8436 7.5082 -2.8206  -0.06
C -4.9343 10.6799 -4.5725  -0.02
H -5.7034 9.2795 -6.8128  0.08
H -4.4372 8.0048 -6.8427  0.08
H -3.9173 9.5803 -7.0071  0.07
H -6.6778 8.8255 -4.3693  0.11
H -5.9820 7.4651 -5.1377  0.11
H -6.4921 6.9990 -2.8546  0.11
H -5.7277 8.4540 -2.2324  0.09
H -4.1258 6.2703 -3.3488  0.11
H -4.1029 6.8167 -1.6860  0.11
H -2.4561 10.2158 -2.3676  0.08
H -4.0599 10.0314 -1.8683  0.06
H -2.7403 9.0066 -1.1075  0.08
H -1.6791 7.0853 -1.8295  0.08
H -1.8380 6.6398 -3.4794  0.08
H -0.9884 8.1564 -3.0122  0.08
H -5.1320 10.8106 -3.5086  0.07
H -5.7629 11.0374 -5.1838  0.08
H -4.0499 11.2320 -4.8907  0.08
H -1.8485 9.0899 -5.6216  0.10
C -0.3793 -1.4402 11.2633  -0.04
C -1.6307 -0.7344 10.7309  -0.50
C -1.2845 0.8001 10.9256  -0.15
C -0.3002 1.3499 9.9727  -0.25
C -0.6750 1.0579 8.5463  -0.10
C -1.1983 -0.5177 8.2273  -0.37
N -1.9641 -1.0126 9.3799  -0.11
O -2.3660 -2.4120 9.1980  -0.02
C -2.2922 -0.4064 7.0155  -0.02
C 0.0693 -1.3846 7.8490  -0.04
C -2.8781 -1.0536 11.6775  -0.02
H -0.0700 -1.3391 12.3036  0.09
H 0.4601 -1.0717 10.6736  0.05
H -0.3291 -2.4861 10.9607  0.08
H -2.1419 1.3904 10.6024  0.12
H -1.0472 1.0373 11.9627  0.12
H 0.6751 0.8883 10.1272  0.10
H -0.1332 2.4081 10.1738  0.12
H 0.2576 1.2635 8.0209  0.10
H -1.3721 1.7756 8.1138  0.10
H -2.7253 -1.3897 6.8318  0.06
H -3.0740 0.3295 7.2033  0.07
H -1.8148 -0.1789 6.0624  0.07
H 0.9403 -1.4294 8.5028  0.07
H -0.2454 -2.4150 7.6837  0.07
H 0.4090 -1.0466 6.8700  0.07
H -3.7532 -0.5324 11.2892  0.08
H -2.6195 -0.6691 12.6641  0.07
H -3.0546 -2.1205 11.8135  0.07
H -3.3222 -2.3718 9.1222  0.09
C 5.9848 1.6979 1.6657  -0.02
C 7.2039 2.4623 2.2937  -0.46
C 6.6401 3.2238 3.5212  -0.14
C 6.4441 2.3477 4.7768  -0.17
C 7.7762 1.6867 5.1826  -0.14
C 8.4169 0.8210 4.0594  -0.50
N 8.3397 1.5505 2.7715  -0.12
O 8.9931 0.8597 1.7812  -0.01
C 9.8661 0.7295 4.4451  -0.05
C 7.7412 -0.5767 4.0344  -0.03
C 7.7139 3.5216 1.3301  -0.04
H 6.3953 1.0957 0.8551  0.07
H 5.4025 2.4114 1.0828  0.08
H 5.4113 1.0677 2.3454  0.08
H 7.2576 4.0839 3.7801  0.11
H 5.6793 3.6773 3.2776  0.12
H 5.7149 1.5651 4.5673  0.09
H 5.9669 2.7538 5.6688  0.11
H 7.4956 0.9563 5.9415  0.11
H 8.4222 2.3870 5.7120  0.12
H 9.9211 0.7426 5.5336  0.08
H 10.3563 -0.1229 3.9748  0.08
H 10.5488 1.4900 4.0661  0.09
H 6.6996 -0.4977 3.7231  0.07
H 8.1937 -1.2660 3.3214  0.08
H 7.7541 -1.1821 4.9407  0.08
H 7.0039 4.1531 0.7961  0.09
H 8.3702 2.9887 0.6420  0.08
H 8.2686 4.3049 1.8467  0.08
H 8.2993 0.4232 1.2816  0.09
C -6.2776 0.8237 -7.9477  -0.30
C -5.1603 1.8303 -8.2504  -0.26
O -3.9449 1.1874 -8.4828  -0.06
O -6.3016 0.3570 -6.6767  -0.03
H -6.2069 -0.0099 -8.6465  0.12
H -7.2504 1.2495 -8.1934  0.12
H -5.0554 2.6080 -7.4939  0.12
H -5.3147 2.3214 -9.2111  0.12
H -3.7960 0.6368 -7.7106  0.08
H -5.3815 0.2545 -6.4227  0.09
C -11.0628 -4.2417 0.9365  -0.22
C -9.6194 -4.1090 0.3457  -0.23
O -8.9839 -3.0761 1.0761  -0.09
O -11.8050 -5.1245 0.1066  -0.09
H -11.5284 -3.2580 0.8756  0.11
-- stop --

Retype the lines earlier on up to the one that holds "7.6837", that line included.

1.
Computed, not measured: a cluster of 12 separate species, C40H100N15O14 in total in a non-equilibrium geometry, with ωB97M-V with the def2-TZVPD basis set.

As for the net charge: -1. The calculation puts the calculated total energy at -94112.5318 eV. The highest occupied orbital energy is -3.25 eV.

Each line ends with the Löwdin charge.
Cartesian coordinates (Å):
C -1.0413 -1.5404 -1.8974  -0.11
C -0.0374 -1.8547 -3.0773  -0.71
C 0.8207 -3.1185 -2.8580  -0.12
O -0.7469 -1.9159 -4.2464  -0.39
H -1.8607 -0.8826 -2.1872  0.05
H -0.4192 -1.2783 -1.0416  0.04
H -1.5472 -2.4044 -1.4666  0.04
H 0.6621 -1.0195 -3.0435  0.08
H 0.1802 -3.9687 -2.6238  0.05
H 1.5885 -3.0454 -2.0878  0.04
H 1.3547 -3.2894 -3.7928  0.05
C -4.6948 9.0075 -6.5016  -0.04
C -4.6330 9.2134 -4.9379  -0.53
C -5.7431 8.2696 -4.4421  -0.13
C -5.6451 7.6721 -2.9873  -0.17
C -4.2418 7.1493 -2.7147  -0.14
C -3.1541 8.2779 -3.0503  -0.44
N -3.3698 8.6939 -4.5003  -0.07
O -2.2418 9.5460 -4.8739  -0.03
C -3.1487 9.4516 -2.0149  -0.03
C -1.8436 7.5082 -2.8206  -0.06
C -4.9343 10.6799 -4.5725  -0.02
H -5.7034 9.2795 -6.8128  0.08
H -4.4372 8.0048 -6.8427  0.08
H -3.9173 9.5803 -7.0071  0.07
H -6.6778 8.8255 -4.3693  0.11
H -5.9820 7.4651 -5.1377  0.11
H -6.4921 6.9990 -2.8546  0.11
H -5.7277 8.4540 -2.2324  0.09
H -4.1258 6.2703 -3.3488  0.11
H -4.1029 6.8167 -1.6860  0.11
H -2.4561 10.2158 -2.3676  0.08
H -4.0599 10.0314 -1.8683  0.06
H -2.7403 9.0066 -1.1075  0.08
H -1.6791 7.0853 -1.8295  0.08
H -1.8380 6.6398 -3.4794  0.08
H -0.9884 8.1564 -3.0122  0.08
H -5.1320 10.8106 -3.5086  0.07
H -5.7629 11.0374 -5.1838  0.08
H -4.0499 11.2320 -4.8907  0.08
H -1.8485 9.0899 -5.6216  0.10
C -0.3793 -1.4402 11.2633  -0.04
C -1.6307 -0.7344 10.7309  -0.50
C -1.2845 0.8001 10.9256  -0.15
C -0.3002 1.3499 9.9727  -0.25
C -0.6750 1.0579 8.5463  -0.10
C -1.1983 -0.5177 8.2273  -0.37
N -1.9641 -1.0126 9.3799  -0.11
O -2.3660 -2.4120 9.1980  -0.02
C -2.2922 -0.4064 7.0155  -0.02
C 0.0693 -1.3846 7.8490  -0.04
C -2.8781 -1.0536 11.6775  -0.02
H -0.0700 -1.3391 12.3036  0.09
H 0.4601 -1.0717 10.6736  0.05
H -0.3291 -2.4861 10.9607  0.08
H -2.1419 1.3904 10.6024  0.12
H -1.0472 1.0373 11.9627  0.12
H 0.6751 0.8883 10.1272  0.10
H -0.1332 2.4081 10.1738  0.12
H 0.2576 1.2635 8.0209  0.10
H -1.3721 1.7756 8.1138  0.10
H -2.7253 -1.3897 6.8318  0.06
H -3.0740 0.3295 7.2033  0.07
H -1.8148 -0.1789 6.0624  0.07
H 0.9403 -1.4294 8.5028  0.07
H -0.2454 -2.4150 7.6837  0.07